To do:
It remains to transcribe the lines below with every line break kept.

Source:
____________
No. 1
75
Properties=species:S:1:pos:R:3:forces:R:3:lowdin_spin:R:1 method="wB97M-V/def2-TZVPD" spin_multiplicity=4 s_squared=3.813 homo_ev="-9.182 / -9.260" orbital_gap_ev="7.88 / 9.20" charge=0
F -1.978472 0.759081 -4.165529 -0.045 0.031 -0.017 0.000
C 1.661591 -3.045031 0.138272 0.022 0.043 0.036 0.007
N 1.496008 -0.382236 1.236119 -0.243 0.101 0.089 -0.037
H -5.300964 -0.275131 2.099805 -0.024 0.017 0.020 0.000
O 0.315128 0.945847 -5.858061 0.137 -0.110 -0.039 0.000
H -3.988503 2.641769 0.798905 0.002 0.002 -0.020 0.000
H 1.253813 1.683732 1.429945 0.038 0.024 0.021 0.001
C -0.758940 3.002733 -0.101519 -0.017 0.085 0.025 0.001
H -0.824367 1.605940 2.359670 -0.090 0.054 0.042 0.000
H -4.601337 -2.622148 0.730233 -0.005 -0.014 0.023 0.000
C -2.136947 -2.273767 -0.427390 -0.275 -0.049 0.047 0.009
C -3.111295 0.523937 3.578208 0.029 -0.147 -0.075 0.000
F 3.425569 1.537427 -6.225305 0.063 0.102 0.043 0.000
C -4.433943 -0.933264 2.109516 0.052 0.019 0.014 0.000
O -3.550927 0.853544 -0.882004 -0.012 0.057 -0.109 -0.005
N 1.147610 -1.054224 -4.536633 -0.393 0.242 0.020 0.002
H 1.628002 -2.724642 -0.903711 0.043 -0.026 0.006 0.001
Cr 0.319792 -0.182883 -0.471835 0.238 0.066 0.779 3.023
C -4.199023 -1.610879 0.774121 0.013 -0.055 0.022 0.000
O 0.023590 -1.708746 -2.417930 0.209 0.144 -0.040 0.016
C 2.656994 0.674879 -1.205253 -0.460 -0.172 0.070 0.002
F 3.727797 0.216831 -4.530854 0.047 0.075 -0.014 0.000
H -4.105400 0.892391 3.823072 -0.035 0.016 0.002 0.000
O 2.149452 -0.516223 -1.202781 0.090 0.434 -0.148 -0.048
H 3.404619 0.213614 3.853354 0.033 -0.030 0.030 0.000
S 0.160943 -0.632082 -3.395093 0.108 0.133 -0.178 0.005
H 0.023457 2.555498 -0.708199 -0.073 0.077 0.002 0.001
N -0.964364 -0.281318 1.387394 0.225 0.075 0.004 -0.030
N 3.747532 -0.766436 1.997758 0.169 -0.030 0.118 0.000
C 3.999388 0.307051 2.942348 0.041 -0.002 -0.137 0.000
H 1.680909 0.892873 2.939991 0.036 -0.008 0.060 0.000
C -2.211039 -0.655356 1.489024 -0.100 -0.071 -0.099 0.000
N -0.427577 4.124776 0.543690 -0.094 -0.057 -0.003 0.001
C -1.584700 -0.496987 -4.113154 0.225 -0.101 0.168 0.000
H -2.368318 -3.340634 -0.402374 0.015 -0.015 0.032 0.000
C 2.840264 1.001758 -5.157440 -0.049 -0.238 0.000 0.000
N -2.746559 -1.638888 0.720213 0.012 -0.022 -0.029 0.002
N -3.213177 -0.149306 2.291543 -0.023 0.061 0.088 0.000
H -4.590763 -1.021469 -0.058235 0.015 -0.025 0.016 0.000
H 1.881982 -4.110367 0.169600 -0.023 -0.043 0.029 0.001
H 4.514642 -2.659603 -0.074222 -0.002 0.037 -0.059 0.000
H -1.062220 -2.159671 -0.411499 0.003 -0.150 0.097 0.005
O -1.402371 0.341931 -1.015003 -0.120 0.427 -0.485 -0.005
H 3.624194 0.781033 -1.702515 0.159 -0.001 0.012 -0.002
O 2.069626 1.632741 -0.699528 0.044 -0.282 -0.122 0.026
C -2.024922 2.433108 -0.024097 0.121 0.006 -0.042 0.003
C 4.672456 -1.897714 1.966292 -0.046 0.030 -0.001 0.000
C 1.111742 0.780491 2.025516 -0.027 -0.121 -0.046 0.004
C 4.055301 -2.806335 0.906502 -0.085 0.119 0.059 0.000
S 1.388573 -0.000360 -5.734096 -0.046 0.155 0.090 0.001
O 0.430121 0.658358 -2.777322 -0.174 -0.183 -0.274 0.008
C 2.566928 -1.103374 1.402171 0.053 0.056 -0.133 0.001
H -4.548856 -1.656692 2.925310 0.017 -0.020 0.009 0.000
H 0.690416 -2.887615 0.607485 -0.016 0.011 0.026 0.003
H -2.798148 -0.154736 4.379598 0.001 -0.005 -0.022 0.000
C -2.995717 3.066702 0.735977 -0.093 -0.065 0.061 0.000
H 5.047589 0.247787 3.225863 0.037 0.021 -0.030 0.000
H 4.736207 -2.382381 2.944555 -0.057 -0.047 0.041 0.000
F -1.629993 -1.048927 -5.314910 -0.079 -0.025 -0.122 0.000
F 2.481955 1.974749 -4.329098 0.026 0.033 0.050 0.000
H 3.832977 1.285022 2.494517 -0.064 -0.011 -0.023 0.000
H -1.068570 5.627187 1.803282 -0.006 -0.012 0.015 0.000
O 1.901696 -0.673037 -6.881154 -0.076 -0.223 0.117 0.000
H 4.115276 -3.860606 1.167257 0.018 -0.047 0.003 0.000
H 5.665831 -1.555063 1.683513 0.044 0.007 0.038 0.000
H -0.461114 0.200507 3.380798 -0.026 -0.024 0.050 -0.001
H -2.504943 -1.839466 -1.356661 0.071 -0.081 0.236 0.000
____________

Here it is:
No. 1
75
Properties=species:S:1:pos:R:3:forces:R:3:lowdin_spin:R:1 method="wB97M-V/def2-TZVPD" spin_multiplicity=4 s_squared=3.813 homo_ev="-9.182 / -9.260" orbital_gap_ev="7.88 / 9.20" charge=0
F -1.978472 0.759081 -4.165529 -0.045 0.031 -0.017 0.000
C 1.661591 -3.045031 0.138272 0.022 0.043 0.036 0.007
N 1.496008 -0.382236 1.236119 -0.243 0.101 0.089 -0.037
H -5.300964 -0.275131 2.099805 -0.024 0.017 0.020 0.000
O 0.315128 0.945847 -5.858061 0.137 -0.110 -0.039 0.000
H -3.988503 2.641769 0.798905 0.002 0.002 -0.020 0.000
H 1.253813 1.683732 1.429945 0.038 0.024 0.021 0.001
C -0.758940 3.002733 -0.101519 -0.017 0.085 0.025 0.001
H -0.824367 1.605940 2.359670 -0.090 0.054 0.042 0.000
H -4.601337 -2.622148 0.730233 -0.005 -0.014 0.023 0.000
C -2.136947 -2.273767 -0.427390 -0.275 -0.049 0.047 0.009
C -3.111295 0.523937 3.578208 0.029 -0.147 -0.075 0.000
F 3.425569 1.537427 -6.225305 0.063 0.102 0.043 0.000
C -4.433943 -0.933264 2.109516 0.052 0.019 0.014 0.000
O -3.550927 0.853544 -0.882004 -0.012 0.057 -0.109 -0.005
N 1.147610 -1.054224 -4.536633 -0.393 0.242 0.020 0.002
H 1.628002 -2.724642 -0.903711 0.043 -0.026 0.006 0.001
Cr 0.319792 -0.182883 -0.471835 0.238 0.066 0.779 3.023
C -4.199023 -1.610879 0.774121 0.013 -0.055 0.022 0.000
O 0.023590 -1.708746 -2.417930 0.209 0.144 -0.040 0.016
C 2.656994 0.674879 -1.205253 -0.460 -0.172 0.070 0.002
F 3.727797 0.216831 -4.530854 0.047 0.075 -0.014 0.000
H -4.105400 0.892391 3.823072 -0.035 0.016 0.002 0.000
O 2.149452 -0.516223 -1.202781 0.090 0.434 -0.148 -0.048
H 3.404619 0.213614 3.853354 0.033 -0.030 0.030 0.000
S 0.160943 -0.632082 -3.395093 0.108 0.133 -0.178 0.005
H 0.023457 2.555498 -0.708199 -0.073 0.077 0.002 0.001
N -0.964364 -0.281318 1.387394 0.225 0.075 0.004 -0.030
N 3.747532 -0.766436 1.997758 0.169 -0.030 0.118 0.000
C 3.999388 0.307051 2.942348 0.041 -0.002 -0.137 0.000
H 1.680909 0.892873 2.939991 0.036 -0.008 0.060 0.000
C -2.211039 -0.655356 1.489024 -0.100 -0.071 -0.099 0.000
N -0.427577 4.124776 0.543690 -0.094 -0.057 -0.003 0.001
C -1.584700 -0.496987 -4.113154 0.225 -0.101 0.168 0.000
H -2.368318 -3.340634 -0.402374 0.015 -0.015 0.032 0.000
C 2.840264 1.001758 -5.157440 -0.049 -0.238 0.000 0.000
N -2.746559 -1.638888 0.720213 0.012 -0.022 -0.029 0.002
N -3.213177 -0.149306 2.291543 -0.023 0.061 0.088 0.000
H -4.590763 -1.021469 -0.058235 0.015 -0.025 0.016 0.000
H 1.881982 -4.110367 0.169600 -0.023 -0.043 0.029 0.001
H 4.514642 -2.659603 -0.074222 -0.002 0.037 -0.059 0.000
H -1.062220 -2.159671 -0.411499 0.003 -0.150 0.097 0.005
O -1.402371 0.341931 -1.015003 -0.120 0.427 -0.485 -0.005
H 3.624194 0.781033 -1.702515 0.159 -0.001 0.012 -0.002
O 2.069626 1.632741 -0.699528 0.044 -0.282 -0.122 0.026
C -2.024922 2.433108 -0.024097 0.121 0.006 -0.042 0.003
C 4.672456 -1.897714 1.966292 -0.046 0.030 -0.001 0.000
C 1.111742 0.780491 2.025516 -0.027 -0.121 -0.046 0.004
C 4.055301 -2.806335 0.906502 -0.085 0.119 0.059 0.000
S 1.388573 -0.000360 -5.734096 -0.046 0.155 0.090 0.001
O 0.430121 0.658358 -2.777322 -0.174 -0.183 -0.274 0.008
C 2.566928 -1.103374 1.402171 0.053 0.056 -0.133 0.001
H -4.548856 -1.656692 2.925310 0.017 -0.020 0.009 0.000
H 0.690416 -2.887615 0.607485 -0.016 0.011 0.026 0.003
H -2.798148 -0.154736 4.379598 0.001 -0.005 -0.022 0.000
C -2.995717 3.066702 0.735977 -0.093 -0.065 0.061 0.000
H 5.047589 0.247787 3.225863 0.037 0.021 -0.030 0.000
H 4.736207 -2.382381 2.944555 -0.057 -0.047 0.041 0.000
F -1.629993 -1.048927 -5.314910 -0.079 -0.025 -0.122 0.000
F 2.481955 1.974749 -4.329098 0.026 0.033 0.050 0.000
H 3.832977 1.285022 2.494517 -0.064 -0.011 -0.023 0.000
H -1.068570 5.627187 1.803282 -0.006 -0.012 0.015 0.000
O 1.901696 -0.673037 -6.881154 -0.076 -0.223 0.117 0.000
H 4.115276 -3.860606 1.167257 0.018 -0.047 0.003 0.000
H 5.665831 -1.555063 1.683513 0.044 0.007 0.038 0.000
H -0.461114 0.200507 3.380798 -0.026 -0.024 0.050 -0.001
H -2.504943 -1.839466 -1.356661 0.071 -0.081 0.236 0.000